Repeat everything below word for word.
+++
Entry 1:
ZrTi2MoH: relaxed, PBE-GGA.

It has space group P4/mmm (No. 123), with a = 3.949 Å, b = 3.949 Å, c = 4.749 Å, α = 90.00°, β = 90.00° and γ = 90.00°. Symmetry generates all atoms from Zr at (0.000, 0.000, 0.000), Ti at (0.000, 0.500, 0.500), Mo at (0.500, 0.500, 0.000) and H at (0.000, 0.000, 0.500).

The offset from the most stable computed form is 0.000 eV per atom. For the mass density, the calculation gives 6.367 Mg/m³. The value obtained for the total energy is -7.75 eV per atom. The calculation puts the total magnetic moment at 0.001 μB/atom.



Entry 2:
La2Zn3Cd: relaxed, PBE-GGA.

It has space group Imm2 (No. 44), with a = 3.754 Å, b = 4.807 Å, c = 16.401 Å, α = 90.00°, β = 90.00° and γ = 90.00°. Symmetry generates all atoms from La at (0.000, 0.000, 0.000), La at (0.000, 0.500, 0.267), Zn at (0.000, 0.000, 0.429), Zn at (0.000, 0.500, 0.675), Zn at (0.000, 0.500, 0.831) and Cd at (0.000, 0.000, 0.595).

The offset from the most stable computed form is 0.039 eV per atom. For the mass density, the calculation gives 6.580 Mg/m³. The value obtained for the total energy is -2.73 eV per atom. The calculation puts the total magnetic moment at 0.000 μB/atom.



Entry 3:
Ta5V3H12: relaxed, PBE-GGA.

It has space group Ia-3d (No. 230), with a = 10.935 Å, b = 10.935 Å, c = 10.935 Å, α = 90.00°, β = 90.00° and γ = 90.00°. Symmetry generates all atoms from Ta at (0.000, 0.000, 0.000), Ta at (0.000, 0.250, 0.375), V at (0.000, 0.250, 0.125) and H at (0.001, 0.076, 0.156).

For the mass density, the calculation gives 10.868 Mg/m³. The value obtained for the total energy is -6.44 eV per atom. The calculation puts the total magnetic moment at 0.000 μB/atom.



Entry 4:
RbTlBP: relaxed, PBE-GGA.

It has space group R3m (No. 160, hexagonal axes), with a = 4.2958 Å, b = 4.2958 Å, c = 21.4505 Å, α = 90.00°, β = 90.00° and γ = 120.00°. Symmetry generates all atoms from Rb at (0.0000, 0.0000, 0.0000), Tl at (0.0000, 0.0000, 0.7931), B at (0.0000, 0.0000, 0.4755) and P at (0.0000, 0.0000, 0.5590).

The offset from the most stable computed form is 0.206 eV per atom. For the mass density, the calculation gives 4.819 Mg/m³. The value obtained for the total energy is -3.51 eV per atom. The calculation puts the total magnetic moment at 0.000 μB/atom.



Entry 5:
Li2ZrTc: relaxed, PBE-GGA.

It has space group Cm (No. 8), with a = 9.286 Å, b = 2.669 Å, c = 5.528 Å, α = 90.00°, β = 95.74° and γ = 90.00°. Symmetry generates all atoms from Li at (0.000, 0.000, 0.000), Li at (0.245, 0.500, 0.227), Zr at (0.001, 0.500, 0.525) and Tc at (0.256, 0.000, 0.750).

The offset from the most stable computed form is 0.163 eV per atom. For the mass density, the calculation gives 4.947 Mg/m³. The value obtained for the total energy is -5.38 eV per atom. The calculation puts the total magnetic moment at 0.000 μB/atom.



Entry 6:
Pm4PrDy3: relaxed, PBE-GGA.

It has space group Pmn2_1 (No. 31), with a = 11.634 Å, b = 7.345 Å, c = 6.342 Å, α = 90.00°, β = 90.00° and γ = 90.00°. Symmetry generates all atoms from Pm at (0.000, 0.127, 0.000), Pm at (0.000, 0.873, 0.494), Pm at (0.247, 0.875, 0.830), Pr at (0.000, 0.375, 0.496), Dy at (0.000, 0.623, 0.996) and Dy at (0.250, 0.377, 0.830).
+++
Entry 1:
ZrTi2MoH: relaxed, PBE-GGA.

It has space group P4/mmm (No. 123), with a = 3.949 Å, b = 3.949 Å, c = 4.749 Å, α = 90.00°, β = 90.00° and γ = 90.00°. Symmetry generates all atoms from Zr at (0.000, 0.000, 0.000), Ti at (0.000, 0.500, 0.500), Mo at (0.500, 0.500, 0.000) and H at (0.000, 0.000, 0.500).

The offset from the most stable computed form is 0.000 eV per atom. For the mass density, the calculation gives 6.367 Mg/m³. The value obtained for the total energy is -7.75 eV per atom. The calculation puts the total magnetic moment at 0.001 μB/atom.



Entry 2:
La2Zn3Cd: relaxed, PBE-GGA.

It has space group Imm2 (No. 44), with a = 3.754 Å, b = 4.807 Å, c = 16.401 Å, α = 90.00°, β = 90.00° and γ = 90.00°. Symmetry generates all atoms from La at (0.000, 0.000, 0.000), La at (0.000, 0.500, 0.267), Zn at (0.000, 0.000, 0.429), Zn at (0.000, 0.500, 0.675), Zn at (0.000, 0.500, 0.831) and Cd at (0.000, 0.000, 0.595).

The offset from the most stable computed form is 0.039 eV per atom. For the mass density, the calculation gives 6.580 Mg/m³. The value obtained for the total energy is -2.73 eV per atom. The calculation puts the total magnetic moment at 0.000 μB/atom.



Entry 3:
Ta5V3H12: relaxed, PBE-GGA.

It has space group Ia-3d (No. 230), with a = 10.935 Å, b = 10.935 Å, c = 10.935 Å, α = 90.00°, β = 90.00° and γ = 90.00°. Symmetry generates all atoms from Ta at (0.000, 0.000, 0.000), Ta at (0.000, 0.250, 0.375), V at (0.000, 0.250, 0.125) and H at (0.001, 0.076, 0.156).

For the mass density, the calculation gives 10.868 Mg/m³. The value obtained for the total energy is -6.44 eV per atom. The calculation puts the total magnetic moment at 0.000 μB/atom.



Entry 4:
RbTlBP: relaxed, PBE-GGA.

It has space group R3m (No. 160, hexagonal axes), with a = 4.2958 Å, b = 4.2958 Å, c = 21.4505 Å, α = 90.00°, β = 90.00° and γ = 120.00°. Symmetry generates all atoms from Rb at (0.0000, 0.0000, 0.0000), Tl at (0.0000, 0.0000, 0.7931), B at (0.0000, 0.0000, 0.4755) and P at (0.0000, 0.0000, 0.5590).

The offset from the most stable computed form is 0.206 eV per atom. For the mass density, the calculation gives 4.819 Mg/m³. The value obtained for the total energy is -3.51 eV per atom. The calculation puts the total magnetic moment at 0.000 μB/atom.



Entry 5:
Li2ZrTc: relaxed, PBE-GGA.

It has space group Cm (No. 8), with a = 9.286 Å, b = 2.669 Å, c = 5.528 Å, α = 90.00°, β = 95.74° and γ = 90.00°. Symmetry generates all atoms from Li at (0.000, 0.000, 0.000), Li at (0.245, 0.500, 0.227), Zr at (0.001, 0.500, 0.525) and Tc at (0.256, 0.000, 0.750).

The offset from the most stable computed form is 0.163 eV per atom. For the mass density, the calculation gives 4.947 Mg/m³. The value obtained for the total energy is -5.38 eV per atom. The calculation puts the total magnetic moment at 0.000 μB/atom.



Entry 6:
Pm4PrDy3: relaxed, PBE-GGA.

It has space group Pmn2_1 (No. 31), with a = 11.634 Å, b = 7.345 Å, c = 6.342 Å, α = 90.00°, β = 90.00° and γ = 90.00°. Symmetry generates all atoms from Pm at (0.000, 0.127, 0.000), Pm at (0.000, 0.873, 0.494), Pm at (0.247, 0.875, 0.830), Pr at (0.000, 0.375, 0.496), Dy at (0.000, 0.623, 0.996) and Dy at (0.250, 0.377, 0.830).